Who Can Foretell the Future?
Can man do so? Is it possible to know what lies ahead?
IT IS natural to wonder what the future holds. Your particular concern may be the happenings of tomorrow, next week, or later in the year. Will lasting peace soon be established? Will the year ahead be economically prosperous? Will race relations be improved and better living conditions realized?
Who knows? Can anyone reliably foretell these things? Politicians, in campaign speeches, frequently make glowing promises about a brighter tomorrow. But how often these are simply empty words! The future they describe rarely materializes. So, in their quest to know the future, many persons turn elsewhere for information.
Millions have sought out fortunetellers, astrologers and other related sources. Time magazine of December 30, 1966, reported: “The sale of crystal balls, especially the large $25 size, has risen roundly in Los Angeles. . . . Across the nation, the sale of Ouija boards has tripled in the past year, even the Harvard University Co-op sells out whenever it stocks them. Zodiac sign guessing has become part of the social chitchat.”
Hundreds of millions of dollars are paid annually to people who profess to have special ability to foretell the future. One popular astrologer observed that this is because, “in these times of uncertainty, people are groping for an answer.” But can you really learn about the future from such sources? How reliable are they?
There can be no question that spiritistic sources at times do predict the future with regard to personal matters. This was so in the first century of our Common Era. For example, the Bible record tells about a “girl with a spirit, a demon of divination,” who “used to furnish her masters with much gain by practicing the art of prediction.” (Acts 16:16) To have been a source of profit to her masters, the girl must have had a reputation for some accuracy in foretelling the future. However, spiritistic sources also often prove to be wrong in their predictions.
In this connection, a feature article entitled “A Look at Tomorrow Today,” appearing in The Saturday Evening Post of March 26, 1966, commented: “Time and again individual astrologers have been laughably wrong, as was Washington’s Jeane Dixon when she predicted that Walter Reuther would be a candidate for the presidency in 1964. . . . On February 5, 1962, great crowds of Hindu holy men sat up all night waiting for the end of the world that Indian astrologers had predicted . . . In 1939 the leading British astrologers predicted unanimously that there would be no war, and when war came, they predicted it would end the following year with the fall of Hitler.”
No, astrologers, fortune-tellers and other such sources cannot be depended upon to foretell the future reliably. They are frequently mistaken.
However, not only are they unreliable, but looking to them for information will bring God’s disfavor. For their prognosticating efforts are associated with demonism, as was the case with the girl in the first century. They actually receive information from wicked, invisible spirit creatures. Understandably, therefore, God’s Word the Bible commands that no true worshiper should consult “a spirit medium or a professional foreteller of events or anyone who inquires of the dead.” Such sources are not the proper ones to whom to look for information about what lies ahead.—Deut. 18:10-12.
It is the popular belief in some places that there is no use in concerning oneself with the future, because one cannot change what is to happen anyway. For example, a Danish priest, Jakob Rod, explains in his book Popular Religion and Church: “The popular religion’s belief in fate has its own special creed: ‘It probably had to be that way,’ or ‘It had to happen.’ Without any doubt this is the creed which is most often expressed here in Denmark today.”
## Inserted here: records of crystals
Diffraction record for NiSb2Pd. The powder diffractogram is computed, not measured: it uses the PBE geometry in OQMD and Cu Kα, 1.54184 Å.
Kinematic intensities with the Lorentz-polarization factor, no thermal factor.

Crystal structure
a b c (Å): 3.358 3.358 7.759
angles (deg): 90.00 90.00 120.00
Element x y z (fractional)
Ni1 0.000 0.000 0.000
Sb1 0.333 0.667 0.232
Sb2 0.333 0.667 0.768
Pd1 0.667 0.333 0.500

Main lines, in order of rising 2θ (10° ≤ 2θ ≤ 90°):
- 30.75 deg, rel. 225, (1 0 0)
- 32.89 deg, rel. 372, (1 0 1)
- 38.70 deg, rel. 1000, (1 0 2)
- 46.83 deg, rel. 139, (0 0 4)
- 47.02 deg, rel. 139, (1 0 3)
- 54.67 deg, rel. 292, (1 1 0)
- 68.98 deg, rel. 176, (2 0 2)
- 74.79 deg, rel. 200, (1 1 4)

~~~~~

No. 1
Diffraction record for Sm8InBi6. The powder XRD pattern is computed, not measured: it uses a cell relaxed with GGA-PBE and Cu Kα, 1.54184 Å.
Lines closer than 0.1° are merged.

Largest 10 diffraction maxima, by intensity, 10 to 90 degrees two-theta:
2θ = 33.60°, I 100, (1 1 6); 2θ = 32.55°, I 97, (3 0 0); 2θ = 30.11°, I 46, (1 2 2); 2θ = 27.71°, I 41, (0 0 6); 2θ = 23.23°, I 33, (1 1 3); 2θ = 34.22°, I 32, (3 -1 4); 2θ = 18.62°, I 29, (1 1 0); 2θ = 29.00°, I 29, (2 1 1); 2θ = 43.26°, I 25, (0 3 6); 2θ = 47.48°, I 23, (4 -2 6)

Cell and atoms:
abc: 9.5282 9.5282 19.3174
angles: 90.00 90.00 120.00
Space group R-3 (No. 148, hexagonal axes)
Unique sites:
Sm1 0.0000 0.0000 0.1663 (multiplicity 6)
Sm2 0.0053 0.2711 0.5888 (multiplicity 18)
In1 0.0000 0.0000 0.5000 (multiplicity 3)
Bi1 0.0050 0.3846 0.4219 (multiplicity 18)

---

No. 2
Diffraction record for Cr2TePt. The powder XRD pattern is computed, not measured: it uses a cell relaxed with GGA-PBE and Cu Kα, 1.54184 Å.
Lines closer than 0.1° are merged.

Largest 10 diffraction maxima, by intensity, 10 to 90 degrees two-theta:
2θ = 37.99°, I 100, (1 1 2); 2θ = 24.72°, I 39, (1 0 1); 2θ = 46.30°, I 28, (2 0 0); 2θ = 62.51°, I 22, (2 0 4); 2θ = 39.58°, I 22, (0 0 4); 2θ = 80.23°, I 22, (3 1 2); 2θ = 70.76°, I 15, (1 1 6); 2θ = 37.46°, I 14, (1 0 3); 2θ = 53.19°, I 11, (2 1 1); 2θ = 81.24°, I 11, (2 2 4)

Cell and atoms:
abc: 3.921 3.921 9.108
angles: 90.00 90.00 90.00
Space group I-4m2 (No. 119)
Unique sites:
Cr1 0.000 0.000 0.000 (multiplicity 2)
Cr2 0.000 0.500 0.250 (multiplicity 2)
Te1 0.000 0.500 0.750 (multiplicity 2)
Pt1 0.000 0.000 0.500 (multiplicity 2)

---

No. 3
Diffraction record for GaFe7Co4. The powder XRD pattern is computed, not measured: it uses a cell relaxed with GGA-PBE and Cu Kα, 1.54184 Å.
Lines closer than 0.1° are merged.

Largest 10 diffraction maxima, by intensity, 10 to 90 degrees two-theta:
2θ = 44.80°, I 100, (1 2 -1); 2θ = 44.93°, I 99, (1 2 2); 2θ = 44.60°, I 51, (2 0 2); 2θ = 45.05°, I 49, (2 0 -1); 2θ = 82.95°, I 28, (0 4 2); 2θ = 64.85°, I 15, (1 -2 3); 2θ = 65.32°, I 15, (3 2 1); 2θ = 65.74°, I 14, (-1 2 3); 2θ = 82.37°, I 14, (0 4 -1); 2θ = 82.58°, I 14, (4 0 1)

Cell and atoms:
abc: 4.743 4.952 6.227
angles: 82.81 77.48 80.12
However, such an attitude is not confined to Denmark. You will hear it expressed in many places. Yet, does not sound reasoning indicate that there is real value in knowing what lies ahead? For if one knows in advance what is to occur, he can take action that will benefit himself and his loved ones. For example, it is noted by volcano expert Haroun Tazieff that at volcanoes with well-equipped observatories ‘scientists can forecast eruptions.’ If you lived near such a volcano, would it not be of value to know the time of its next eruption? Most certainly! For then you could take action to avoid disaster.
In many actual cases, accurate knowledge concerning the future has proved beneficial. Although future events were not changed, adjustments were made by individuals to protect themselves. In September of 1965, for instance, weather forecasters warned that a powerful hurricane would sweep into Louisiana and Mississippi from the Gulf of Mexico. Having this advance knowledge, hundreds of thousands of persons fled to higher ground, and avoided disaster.
Similarly, in the first century of our Common Era the warning was given by the Son of God, Jesus Christ, that when they saw Jerusalem surrounded with encamped armies, then the inhabitants should, at the earliest opportunity, flee the city. (Luke 21:20-22) In 66 C.E. this circumstance occurred when the Roman armies encircled Jerusalem to lay siege to it. But then they withdrew. Those who then heeded the prophetic warning by fleeing Jerusalem avoided the terrible calamity when the Roman armies returned in 70 C.E. and devastated the city. Knowledge concerning the future can indeed prove beneficial.
What makes it possible to predict future events accurately? Important would be having a knowledge of all the factors that might affect the matter. Men possessing a sufficient body of facts have, at times, enjoyed a remarkably accurate view of the future. Yet humans are frequently subject to error, even being wrong in their weather forecasts at times. Men often misinterpret the available evidence, overlook factors that affect the matter, or simply are unacquainted with all the facts of the case.
Despite this, the possibility of possessing an accurate view of the future is recognized by learned men. In fact, they acknowledge that, with sufficient knowledge and wisdom, it is possible for one to predict all events that are yet to occur. Commenting on this, Professors Robert B. Lindsay and Henry Margenau wrote in their book Foundations of Physics: “An intelligence powerful enough to know all these differential equations together with the values of coordinates and derivatives at a given time, and able to solve them, would have a complete survey of all events, future and past.”
Whereas humans are generally incapable of knowing all the necessary information, and of analyzing it properly, there does exist “One perfect in knowledge” and who is thus able accurately to foretell the future. (Job 37:16) That One is the Grand Creator of this marvelous universe and of its living creatures. Yes, he is the Most High God, Jehovah; the One who knows “from the beginning the finale, and from long ago the things that have not been done.”—Isa. 46:10; Ps. 83:18.
Jehovah God is unlimited in his powers to foretell the future, because not only does he possess all the facts, but he can control all the factors. He has a perfect record of accuracy in foretelling the future. Even events that all evidence available to men would indicate are very unlikely to occur, Jehovah God can foretell perfectly.
For example, would it be logical to expect that a famine-stricken city surrounded by enemy armies would have food in abundance the following day? Yet, this is what Jehovah inspired his prophet Elisha to foretell in the tenth century before our Common Era when Syrian armies were besieging Samaria. The Bible record says:
“Elisha now said: ‘Listen, you men, to the word of Jehovah. This is what Jehovah has said, “Tomorrow about this time a seah measure of fine flour will be worth a shekel, and two seah measures of barley worth a shekel [a very cheap price] in the gateway of Samaria.’” At that the adjutant upon whose hand the king was supporting himself answered the man of the true God and said: ‘If Jehovah were making floodgates in the heavens, could this thing take place?’ To this he said: ‘Here you are seeing it with your own eyes, but from it you will not eat.’”—2 Ki. 7:1, 2.
The king’s adjutant, a high officer, could not believe it. The population was starving, with mothers even eating their own children. (2 Ki. 6:24-29) How possibly could such a prophecy come true? The One with unlimited knowledge knew.
During the night God caused the encamped Syrians to hear the sound of a great military force. They assumed that the Israelites had hired the help of the Hittites and the Egyptians. So, in great fear, they fled toward their own borders, leaving their possessions behind. The Bible explains what then occurred:
“The people proceeded to go out and plunder the camp of the Syrians; and so a seah measure of fine flour came to be worth a shekel, and two seah measures of barley worth a shekel, according to the word of Jehovah. And the king himself had appointed the adjutant upon whose hand he was supporting himself to have charge of the gateway; and the people kept trampling him in the gateway, so that he died, just as the man of the true God had spoken.”—2 Ki. 7:16, 17.
What a remarkable fulfillment of prophecy! Yet for Jehovah God it is nothing extraordinary. There are scores of similar prophecies recorded in the Bible that have undergone such amazing fulfillment. Why, when Babylon was a mighty, apparently invincible power, Jehovah foretold her downfall. (Jer. 51:53-58; Dan. 5:22-30) He even named the Persian conqueror, Cyrus—and that well over a hundred years before Cyrus was born! (Isa. 44:26–45:1) Jehovah also foretold the fall of Medo-Persia to Greece, and how the kingdom of the conquering ruler, Alexander the Great, would be divided into four kingdoms, as it, of course, was.—Dan. 8:3-8, 20-22.
After a consideration of the fulfillment of such astounding Bible prophecies, Thomas Newton wrote in his book Dissertations on the Prophecies: “What can be plainer? You see or may see with your own eyes the Scripture-prophecies accomplished: and if the Scripture-prophecies are accomplished, the Scripture must be the word of God.” Yes, we can be absolutely confident that what the Bible foretells for the future will be fulfilled!
What, then, does the Bible foretell for our immediate future? Will lasting peace be established, race relations improved and better living conditions realized? Or, are we approaching a time when world conditions will grow even worse?
The greatest prophet of God to walk the earth, Jesus Christ, pointed forward to “the conclusion of the system of things,” and foretold that there would be ‘nation rising against nation, food shortages, pestilences, earthquakes, and increased lawlessness,’ yes, the very conditions being experienced in unparalleled doses since 1914! So, according to God’s Word, not only will the nations continue to experience a time of unprecedented distress that will yet grow worse, but in the very near future this entire system of things will suffer complete destruction.—Matt. 24:3-21; Luke 21:7-19.
Does this mean that life is hopeless? that there is no future for which to live? Not at all! For Jehovah God promises in his Word that all those who love and serve Him will be preserved alive through the end of this system of things into His righteous new system of things. (1 John 2:17; 2 Pet. 3:13) Yes, God’s assurance is that at that time “he will reside with them, and they will be his peoples. And God himself will be with them. And he will wipe out every tear from their eyes, and death will be no more, neither will mourning nor outcry nor pain be any more. The former things have passed away.”—Rev. 21:3, 4.
What a grand future the Bible describes for mankind! What a precious, close relationship with Jehovah God! Will it really be fulfilled? Can we confidently trust in what God foretells? Check the record. Examine your own copy of the Bible, and see how accurate God has been in the past in describing events before they occur. You will find out that there is every reason to have confidence in the all-powerful One, who alone can accurately foretell the future.